## Excerpt
____________
[1]
La2Cu2I: relaxed, GGA-PBE.

Values from the calculation:
The value obtained for the offset from the most stable computed form is 0 kJ/mol of formula units.

```
5
Lattice="-1.882 1.495 -3.529 -2.110 0.008 3.711 3.082 7.976 1.735" Properties=species:S:1:pos:R:3 pbc="T T T"
Cu 0.000 0.000 0.000
La 0.395 6.789 2.665
I 1.541 3.988 0.867
Cu -1.958 0.999 -1.115
La -1.381 2.194 1.666
```

---

[2]
Na2Li2CuI2O2: relaxed, GGA-PBE.

Values from the calculation:
The calculation puts the calculated total energy at -3.59 eV/atom.

```
9
Lattice="0.441 -8.361 8.082 1.620 -3.495 10.981 -3.851 6.294 -8.999" Properties=species:S:1:pos:R:3 pbc="T T T"
Cu 1.031 -5.928 9.531
Li -1.190 -3.998 4.307
Li -0.600 -1.564 5.757
O -1.115 1.400 0.991
O -1.705 -1.034 -0.459
I 0.678 -3.903 6.275
Na 0.113 -0.649 1.043
Na 1.948 -11.207 18.020
I 1.383 -7.953 12.788
```

---

[3]
CuMo3I7: relaxed, GGA-PBE.

Values from the calculation:
The calculation puts the calculated total energy at -4.66 eV/atom.

```
88
Lattice="-9.633 1.987 -5.819 -8.924 -5.262 12.976 -0.441 16.113 6.231" Properties=species:S:1:pos:R:3 pbc="T T T"
Mo -17.133 5.525 10.888
I -8.651 9.818 0.498
I -8.783 5.952 -0.446
I -16.571 6.575 8.366
I -2.427 6.262 5.023
I -10.781 6.156 9.859
I -11.295 8.749 4.930
Cu -15.361 0.956 6.438
I -9.301 9.441 8.277
I -10.153 -1.138 10.624
I -10.262 13.215 6.972
Mo -1.100 8.710 4.670
Mo -13.760 -0.037 2.439
I -5.711 -0.702 3.945
Mo -4.255 15.817 4.306
Mo -8.017 5.437 6.023
I -13.241 8.936 8.322
I -15.897 11.224 13.393
Cu -3.636 11.882 6.951
I -10.215 6.886 13.835
Cu -9.975 0.299 8.519
Mo -8.788 8.010 5.935
I -12.773 5.423 6.505
I -11.141 0.706 1.774
Mo -12.847 14.584 6.886
Mo -13.409 11.213 14.680
Cu -5.549 4.265 2.547
I -18.394 7.913 11.586
Mo -5.238 12.875 10.950
I -3.101 1.614 -0.004
Cu -10.936 4.922 0.466
I -5.819 11.926 8.278
Mo -5.589 1.624 -1.291
I -10.860 11.137 15.829
I -7.703 4.089 8.459
I -11.994 3.275 -1.161
I -2.624 13.885 5.780
I -12.196 10.335 12.186
I -16.374 -1.047 7.609
Mo -1.865 7.313 2.501
I -0.604 4.925 1.803
I -6.802 2.503 1.202
I -9.697 3.397 5.111
Cu -8.062 7.916 12.923
Mo -6.678 15.860 3.132
I -3.255 9.657 3.152
I -13.979 12.292 5.774
I -7.004 9.563 14.550
I -7.856 12.132 11.615
I -8.845 13.976 2.765
I -4.886 13.820 2.465
I -4.383 6.236 1.468
I -13.179 0.912 5.110
I -6.977 7.272 10.728
Mo -6.151 -1.746 6.503
Mo -9.540 4.416 15.185
Mo -5.721 11.913 13.414
I -12.021 5.566 2.661
I -16.526 3.217 6.322
Mo -9.457 8.422 -1.796
I -15.743 3.181 10.237
Mo -8.541 6.758 8.308
I -10.347 3.020 12.890
Cu -13.449 8.573 10.842
Mo -17.898 4.128 8.719
I -8.137 1.701 -2.440
I -14.111 -0.982 10.924
Mo -10.457 6.080 5.081
I -14.615 6.601 11.921
I -8.217 6.682 3.530
I -7.664 10.393 4.703
Mo -12.320 -3.022 10.257
I -13.287 13.540 9.444
I -6.716 -2.693 9.065
I -8.736 -0.377 6.416
Mo -10.981 7.400 7.366
I -2.472 9.621 7.067
I -12.282 15.531 4.323
Mo -10.210 4.828 7.454
I -12.506 -2.274 7.572
I -5.019 0.546 7.615
Cu -9.023 12.539 4.870
I -5.757 3.902 5.067
I -11.334 2.445 8.686
I -6.225 7.415 6.883
I -6.491 15.112 5.817
Mo -14.743 -2.979 9.083
Mo -13.277 0.925 -0.025
```

---

[4]
Rb2CuMoI6: relaxed, GGA-PBE.

Values from the calculation:
The calculation puts the calculated total energy at -3.21 eV/atom.

```
10
Lattice="0.000 5.726 5.726 5.726 0.000 5.726 5.726 5.726 0.000" Properties=species:S:1:pos:R:3 pbc="T T T"
I 8.611 5.726 5.726
Mo 0.000 0.000 0.000
I 5.726 5.726 8.611
Rb 8.590 8.590 8.590
I 2.842 5.726 5.726
Cu 5.726 5.726 5.726
I 5.726 8.611 5.726
I 5.726 2.842 5.726
I 5.726 5.726 2.842
Rb 2.863 2.863 2.863
```

---

[5]
CuI4N4: relaxed, GGA-PBE.

Values from the calculation:
The calculation puts the calculated total energy at -3.50 eV/atom.

```
9
Lattice="-5.753 -2.085 -0.772 -3.619 -0.984 4.896 -4.829 5.583 0.733" Properties=species:S:1:pos:R:3 pbc="T T T"
I -5.945 -1.744 2.576
N -5.111 1.723 3.605
N -9.090 0.791 1.251
I -8.941 0.097 3.346
I -5.260 2.417 1.510
N -6.398 1.059 0.186
N -7.803 1.455 4.671
I -8.256 4.258 2.280
Cu -2.415 2.792 0.366
```
____________

## Wanted
Please reproduce the contents above from the first line to the one with "-3.50 eV/atom." exactly.

## Done
[1]
La2Cu2I: relaxed, GGA-PBE.

Values from the calculation:
The value obtained for the offset from the most stable computed form is 0 kJ/mol of formula units.

```
5
Lattice="-1.882 1.495 -3.529 -2.110 0.008 3.711 3.082 7.976 1.735" Properties=species:S:1:pos:R:3 pbc="T T T"
Cu 0.000 0.000 0.000
La 0.395 6.789 2.665
I 1.541 3.988 0.867
Cu -1.958 0.999 -1.115
La -1.381 2.194 1.666
```

---

[2]
Na2Li2CuI2O2: relaxed, GGA-PBE.

Values from the calculation:
The calculation puts the calculated total energy at -3.59 eV/atom.

```
9
Lattice="0.441 -8.361 8.082 1.620 -3.495 10.981 -3.851 6.294 -8.999" Properties=species:S:1:pos:R:3 pbc="T T T"
Cu 1.031 -5.928 9.531
Li -1.190 -3.998 4.307
Li -0.600 -1.564 5.757
O -1.115 1.400 0.991
O -1.705 -1.034 -0.459
I 0.678 -3.903 6.275
Na 0.113 -0.649 1.043
Na 1.948 -11.207 18.020
I 1.383 -7.953 12.788
```

---

[3]
CuMo3I7: relaxed, GGA-PBE.

Values from the calculation:
The calculation puts the calculated total energy at -4.66 eV/atom.

```
88
Lattice="-9.633 1.987 -5.819 -8.924 -5.262 12.976 -0.441 16.113 6.231" Properties=species:S:1:pos:R:3 pbc="T T T"
Mo -17.133 5.525 10.888
I -8.651 9.818 0.498
I -8.783 5.952 -0.446
I -16.571 6.575 8.366
I -2.427 6.262 5.023
I -10.781 6.156 9.859
I -11.295 8.749 4.930
Cu -15.361 0.956 6.438
I -9.301 9.441 8.277
I -10.153 -1.138 10.624
I -10.262 13.215 6.972
Mo -1.100 8.710 4.670
Mo -13.760 -0.037 2.439
I -5.711 -0.702 3.945
Mo -4.255 15.817 4.306
Mo -8.017 5.437 6.023
I -13.241 8.936 8.322
I -15.897 11.224 13.393
Cu -3.636 11.882 6.951
I -10.215 6.886 13.835
Cu -9.975 0.299 8.519
Mo -8.788 8.010 5.935
I -12.773 5.423 6.505
I -11.141 0.706 1.774
Mo -12.847 14.584 6.886
Mo -13.409 11.213 14.680
Cu -5.549 4.265 2.547
I -18.394 7.913 11.586
Mo -5.238 12.875 10.950
I -3.101 1.614 -0.004
Cu -10.936 4.922 0.466
I -5.819 11.926 8.278
Mo -5.589 1.624 -1.291
I -10.860 11.137 15.829
I -7.703 4.089 8.459
I -11.994 3.275 -1.161
I -2.624 13.885 5.780
I -12.196 10.335 12.186
I -16.374 -1.047 7.609
Mo -1.865 7.313 2.501
I -0.604 4.925 1.803
I -6.802 2.503 1.202
I -9.697 3.397 5.111
Cu -8.062 7.916 12.923
Mo -6.678 15.860 3.132
I -3.255 9.657 3.152
I -13.979 12.292 5.774
I -7.004 9.563 14.550
I -7.856 12.132 11.615
I -8.845 13.976 2.765
I -4.886 13.820 2.465
I -4.383 6.236 1.468
I -13.179 0.912 5.110
I -6.977 7.272 10.728
Mo -6.151 -1.746 6.503
Mo -9.540 4.416 15.185
Mo -5.721 11.913 13.414
I -12.021 5.566 2.661
I -16.526 3.217 6.322
Mo -9.457 8.422 -1.796
I -15.743 3.181 10.237
Mo -8.541 6.758 8.308
I -10.347 3.020 12.890
Cu -13.449 8.573 10.842
Mo -17.898 4.128 8.719
I -8.137 1.701 -2.440
I -14.111 -0.982 10.924
Mo -10.457 6.080 5.081
I -14.615 6.601 11.921
I -8.217 6.682 3.530
I -7.664 10.393 4.703
Mo -12.320 -3.022 10.257
I -13.287 13.540 9.444
I -6.716 -2.693 9.065
I -8.736 -0.377 6.416
Mo -10.981 7.400 7.366
I -2.472 9.621 7.067
I -12.282 15.531 4.323
Mo -10.210 4.828 7.454
I -12.506 -2.274 7.572
I -5.019 0.546 7.615
Cu -9.023 12.539 4.870
I -5.757 3.902 5.067
I -11.334 2.445 8.686
I -6.225 7.415 6.883
I -6.491 15.112 5.817
Mo -14.743 -2.979 9.083
Mo -13.277 0.925 -0.025
```

---

[4]
Rb2CuMoI6: relaxed, GGA-PBE.

Values from the calculation:
The calculation puts the calculated total energy at -3.21 eV/atom.

```
10
Lattice="0.000 5.726 5.726 5.726 0.000 5.726 5.726 5.726 0.000" Properties=species:S:1:pos:R:3 pbc="T T T"
I 8.611 5.726 5.726
Mo 0.000 0.000 0.000
I 5.726 5.726 8.611
Rb 8.590 8.590 8.590
I 2.842 5.726 5.726
Cu 5.726 5.726 5.726
I 5.726 8.611 5.726
I 5.726 2.842 5.726
I 5.726 5.726 2.842
Rb 2.863 2.863 2.863
```

---

[5]
CuI4N4: relaxed, GGA-PBE.

Values from the calculation:
The calculation puts the calculated total energy at -3.50 eV/atom.